== Material ==
=====
FeHCl (GGA-PBE, optimized geometry); E = -4.7422 eV/atom; crystal system = monoclinic
1.0
5.332 -1.779 0.000
5.332 1.779 0.000
-2.252 0.000 4.355
Fe H Cl
2 2 2
Direct
0.155 0.155 0.405
0.845 0.845 0.595
0.330 0.330 0.582
0.670 0.670 0.418
0.097 0.097 0.847
0.903 0.903 0.153
=====
== To do ==
Find "5.332 1.779" and "0.903 0.903" in the calculation results further above, and type out these two lines and those between.
== Outcome ==
5.332 1.779 0.000
-2.252 0.000 4.355
Fe H Cl
2 2 2
Direct
0.155 0.155 0.405
0.845 0.845 0.595
0.330 0.330 0.582
0.670 0.670 0.418
0.097 0.097 0.847
0.903 0.903 0.153